10 Key Magento 2 Data Migration Issues & Their Solution


10 Key Magento 2 Data Migration Issues & Their Solution

If you’re considering moving from Magento 1.x—to Magento 2.1-the future ready eCommerce platform, I have just one thing to say-Awesome!

As world’s most popular eCommerce platform, Magento keeps improving the functionality and security with regular upgrades, which directly benefits the end users and aren’t happier end customers an end objective for all online stores. Migration to Magento 2.1 is a critical initiative. Migration to a newer version puts your production environment at risk of failure or downtime as these upgrades involves totally new approach, environment and coding standards.

While migrating to Magento 2.1 is definitely more rewarding as an online store, the process itself is not that smooth, though Magento has taken some steps in this direction in last few months. I am listing down key issues we faced while migrating some of our most successful Magento clients from 1.x to Magento 2.1 in the recent past.

Issue #1 : Grouped Products do not get added to Minicart after data migration

In one of our recent projects, we migrated data from Magento 1.x to Magento 2.0.7. Even after successful migration, we faced an issue with the Grouped Products. When we tried adding Grouped type product to cart, it got added only to the shopping cart. Though it showed updated subtotal in the Minicart, but the product details were not added.

Solution: Developed a custom module which overrides the cart action to display the added products in Minicart.

Issue #2: Checkout button in Minicart does not work after data migration

The checkout in Magento 2 has undergone several improvements and changes to its visual appeal and general flow. It is now driven with JavaScript and KnockoutJS.

We faced an issue with checkout button in Minicart as it was not clickable. As a result, customers were not able to proceed to checkout, but they were able to reach to checkout page by clicking on the checkout button on the shopping cart page.

Solution: Developed a custom module to override the cart action to make the checkout button clickable.

Issue #3: Unable to Edit products from Admin after data migration

Magento provides an easy way to add/update product details to suit your needs.

During migration from Magento 1.x to Magento 2.1.0, we were unable to edit any products and it kept throwing following error message.

“The configuration parameter “component Type” is a required for “advanced_pricing_button” component”

Solution: Developed a custom module to override the configurable price to fix the issue.

Issue #4: Category URLs are not SEO friendly

Magento categories are a useful way to sort and organize the products. We faced a unique issue with category URLs. As Magento 2 creates URLs for categories at the time of saving them, these URLs are not SEO friendly. Even running an indexer could not help.

Solution: Developed a custom script to generate SEO friendly URLs for categories in the Site.

Issue #5: Unable to create invoice in admin after data migration

In scenarios, where you need to create invoices for some specific orders in Magento 2, the invoice creation process converts the temporary sales order into a permanent record which cannot be canceled. Normally, orders are invoiced and shipped after payment is received. However, if the method of payment is a purchase order, the order can be invoiced and shipped before payment is received. You can generate an invoice with a packing slip and print shipping labels from your carrier account. A single order can be divided into partial shipments which are invoiced separately, if necessary.

We came across a problem in Invoice functionality where admin wasn’t able to create invoice for Orders.

Solution: We found that the issue lies with the tables responsible for Invoice creation. Once we added the appropriate column to the table, it started working perfectly.

Issue #6: Unable to edit/update categories after migration Magento 1.9.x to 2.x

During Magento 1.x to Magento 2.0.7 migration, we faced an issue with Category attributes. Editing any category from Back-end was giving an exception: Undefined offset in ReadHandler.php on line 166.

Explored that the exception is coming because the values of custom category attribute are missing.

Solution: This issue can be fixed by two ways:

Create a custom module to override the ReadHandler.php Model class
Write a script which will assign values to appropriate category attribute

Issue #7: Unable to edit/update catalog products after data migration

After data migration from Magento 1.x to Magento 2.x, we were trying to edit or add a new product at the backend and received following error-

‘Class Magento\Catalog\Model\Product\Attribute\Backend\Media does not exist’

Realized that the error is coming because of Product Attribute media_gallary back-end resource model class is missing in Magento 2.

Solution: Developed script which fixes media_gallary attribute’s back-end resource type to make it work.

Issue #8: Customer admin grid in Magento back-end giving empty record after data migration

After data migration from Magento 1.x to Magento 2.x., customer admin grid in back-end was giving empty records. On checking at database, all customers’ data were migrated properly. Even after re-indexing customer flat table was not getting updated.

Figured out that the issue is appearing as some columns were missing from customer_entity table.

Solution: Wrote a script to update the customer_entity table and do re-indexing.

Issue #9: Unable to place an order from sub stores after data migration

After data migration from Magento 1.x to Magento 2.x, we were not able to place an order in sub-stores and create order invoices and shipments from backend.

The issue arose because the system is not able to generate order increment id to create the orders.

Solution: In Magento 2, there is a new concept to generate sales order sequence Id. We wrote a script to update the Magento 2 database and create new sequence tables for sub-stores.

Issue #10: Magento back-end user roles resource tree is not displaying after data migration

In Magento back-end, while we were trying to add a new user role, the role resource tree was not getting displayed in role resource tab.

Solution: Created a custom module to override the block (user_role) to fix this issue.

### What comes next are calculated crystals, not part of the piece
'''
Entry 1:
Material: CoMo3
Method: DFT, GGA-PBEsol
State: optimized geometry

symmetry: R-3m
energy relative to the elements: 0.34 eV/atom
total DFT energy (no corrections): -41.67 eV per cell
crystal system: trigonal

abc: 2.6919 2.6919 9.2093
angles: 81.60 81.60 60.00
Last column: nearest neighbours and their distance in Å.
Sites, in units of the cell vectors:
Mo: 0.2569 0.2569 0.2292  3 Co 2.60, 9 Mo 2.69-2.91
Mo: 0.5000 0.5000 0.5000  12 Mo 2.69-2.91
Mo: 0.7431 0.7431 0.7708  3 Co 2.60, 9 Mo 2.69-2.91
Co: 0.0000 0.0000 0.0000  6 Mo 2.60, 6 Co 2.69


Entry 2:
Material: Ni2HgRhCl
Method: DFT, GGA-PBEsol
State: optimized geometry

symmetry: P4/mmm
total DFT energy (no corrections): -18.63 eV per cell
crystal system: tetragonal

abc: 3.9923 3.9923 5.3679
angles: 90.00 90.00 90.00
Last column: nearest neighbours and their distance in Å.
Sites, in units of the cell vectors:
Ni: 0.0000 0.5000 0.0000  2 Cl 2.00
Ni: 0.5000 0.0000 0.0000  2 Cl 2.00
Rh: 0.5000 0.5000 0.5000  4 Hg 2.82
Hg: 0.0000 0.0000 0.5000  2 Cl 2.68, 4 Rh 2.82
Cl: 0.0000 0.0000 0.0000  4 Ni 2.00


Number 1: size of the total moment 0.76 μB/f.u.. Number 2: size of the total moment 0.42 μB/f.u..


No. 1
# LaEr2Hg2

An optimized crystal structure of LaEr2Hg2 (PBE-GGA, Alexandria via LeMat-Bulk).

Structure (extended XYZ):
```
10
Lattice="3.704 0.000 -0.496 0.000 5.434 0.000 -0.017 0.000 13.940" Properties=species:S:1:pos:R:3 pbc="T T T"
Er 2.821 1.358 6.976
Er 3.509 1.358 12.126
Hg 2.383 4.075 3.700
Hg 2.009 1.358 0.941
Hg 1.304 1.358 9.745
Er 0.178 4.075 1.318
Er 0.866 4.075 6.469
La 0.541 1.358 3.996
Hg 1.678 4.075 12.503
La 3.147 4.075 9.448
```

Values from the calculation:
Final energy (Ry/atom): -0.243
ΔE to the lowest computed polymorph (eV/f.u.): 0.00
Crystal system: monoclinic
ΔE_f (meV per atom): -373
Fermi-level density of states (states/eV/cell): 9.468

No. 2
# La2ErHg2

An optimized crystal structure of La2ErHg2 (PBE-GGA, Alexandria via LeMat-Bulk).

Structure (extended XYZ):
```
5
Lattice="4.909 0.000 0.000 2.455 5.600 -0.244 2.455 1.265 5.461" Properties=species:S:1:pos:R:3 pbc="T T T"
Hg 4.909 4.407 1.326
La 2.455 2.129 1.618
Er 0.000 0.000 0.000
La 7.364 4.735 3.599
Hg 4.909 2.457 3.891
```

Values from the calculation:
Final energy (Ry/atom): -0.247
ΔE to the lowest computed polymorph (eV/f.u.): 0.00
Crystal system: orthorhombic
ΔE_f (meV per atom): -354
Fermi-level density of states (states/eV/cell): 5.720

No. 3
# La2ErHg

An optimized crystal structure of La2ErHg (PBE-GGA, Alexandria via LeMat-Bulk).

Structure (extended XYZ):
```
8
Lattice="5.111 0.015 -1.419 -0.410 5.095 -1.419 -0.071 -0.077 9.659" Properties=species:S:1:pos:R:3 pbc="T T T"
La 2.520 -0.031 4.120
Hg 0.970 3.825 -1.419
Hg 3.731 1.285 -1.419
La -0.241 2.509 4.120
Er 2.986 3.246 5.836
Er 1.644 1.787 0.986
La 4.042 4.394 -0.264
La 0.588 0.639 7.086
```

Values from the calculation:
Final energy (Ry/atom): -0.288
ΔE to the lowest computed polymorph (eV/f.u.): 0.00
Crystal system: tetragonal
'''

I am certain that you might have bumped into some of these challenges yourself. I would love to hear your experiences on this in the comments section. Also continuing on this subject I would be sharing more on theme & core challenges with Magento 2 next week, so do watch out for this space